Material =
<<<
The following is a DFT calculation (the ωB97M-V functional and the def2-TZVPD basis) of C21H49AlFeN7O11P as an isolated structure in a non-equilibrium geometry.

Output
- Net charge: +2
- E_HOMO (alpha / beta): -11.59 / -12.68 eV
- 2S+1: 9
- E_tot: -105780.5722 eV
- LUMO level (alpha / beta): -4.77 / -9.59 eV

```
91
Properties=species:S:1:pos:R:3:forces:R:3
Fe 3.587163 19.707124 -22.475769 -0.6 1.8 1.3
Al -0.996687 18.702643 -22.218866 0.6 -0.8 -0.8
P 2.113042 18.142141 -23.202723 -3.5 -0.1 1.0
O 2.844822 19.096408 -24.194177 1.3 -0.6 -1.1
O 3.271340 17.697277 -22.264504 1.2 -0.9 -0.6
O 0.894574 17.313551 -23.460862 1.2 -0.1 -0.6
O 1.603257 19.319210 -22.273430 -0.3 1.4 1.3
C 3.395441 19.956058 -19.323274 0.2 -0.5 0.3
O 3.883540 19.927520 -20.467077 0.3 0.3 -0.4
N 3.677357 20.874143 -18.416155 -0.6 0.5 -0.3
C 2.946084 20.893665 -17.145492 0.2 -0.2 0.2
C 4.232952 22.156848 -18.806057 -0.3 0.9 -0.3
H 2.731611 19.152584 -18.985454 0.0 0.0 0.0
H 2.811624 19.869430 -16.807087 -0.4 0.0 0.0
H 2.019945 21.457968 -17.254723 -0.2 -0.3 0.0
H 3.511700 21.394433 -16.361286 0.3 0.0 -0.2
H 3.434311 22.903604 -18.937706 -0.3 -0.3 0.4
H 4.849795 22.543469 -17.999523 0.4 -0.1 -0.3
H 4.672982 22.171803 -19.799993 0.6 -0.5 0.3
C 4.598347 14.977434 -21.723474 -1.3 0.4 1.1
O 4.420476 13.939213 -21.145490 0.5 0.0 -0.3
N 5.835142 15.306856 -22.302061 -0.3 -1.4 -1.1
C 5.891296 16.405403 -23.234181 1.1 0.1 0.1
C 6.886989 14.299448 -22.322700 0.0 0.1 0.1
H 3.855362 15.780464 -21.809364 0.0 0.0 -0.2
H 6.213435 16.044814 -24.214935 0.3 -0.1 0.2
H 6.702234 16.988120 -22.770038 0.0 0.5 -0.6
H 4.984124 16.985032 -23.387246 -0.2 -0.3 0.8
H 7.799781 14.777130 -21.963356 0.2 -0.1 -0.2
H 6.637080 13.428951 -21.724538 -0.2 0.3 0.3
H 7.004760 13.937598 -23.347337 0.2 0.3 -0.1
C -1.552038 15.513425 -24.126424 -0.1 -0.1 -0.3
O -1.780349 16.067400 -23.053916 -0.2 0.7 0.5
N -2.393007 14.710048 -24.779067 0.6 -0.1 -0.7
C -1.974286 14.116164 -26.040105 -0.8 -0.9 -0.2
C -3.740194 14.411727 -24.306322 0.8 0.7 0.6
H -0.601734 15.650000 -24.656784 0.0 0.1 0.0
H -2.141180 13.036023 -25.989757 0.0 0.0 0.1
H -0.931269 14.240302 -26.316566 0.0 0.5 0.3
H -2.615709 14.479394 -26.844050 0.2 0.2 -0.1
H -3.908802 15.178465 -23.550305 -0.4 -0.3 0.2
H -4.483878 14.516781 -25.091819 0.1 -0.1 -0.2
H -3.752878 13.420671 -23.856332 -0.2 0.0 0.0
C 2.913528 12.496751 -25.759262 0.1 -0.4 0.0
O 2.891280 11.763917 -26.718417 0.0 0.1 -0.1
N 2.911692 13.849182 -25.802741 0.8 0.8 -0.1
C 2.842141 14.544398 -27.066746 -1.4 -0.1 -0.8
C 2.765177 14.642112 -24.597657 -0.1 -0.1 -0.8
H 2.963523 12.104291 -24.727437 -0.1 0.0 0.1
H 3.436677 15.453639 -27.140266 0.3 -0.2 0.3
H 1.802861 14.839175 -27.274284 0.0 0.2 0.2
H 3.037397 13.878365 -27.904425 0.5 -0.2 0.3
H 3.301087 15.593911 -24.686658 0.2 -0.1 -0.1
H 1.716112 14.927971 -24.489602 0.0 -0.1 0.7
H 3.198056 14.058454 -23.786447 -0.5 0.1 0.3
C 0.226820 17.921039 -26.929989 -0.2 0.3 -0.2
O -0.728658 17.175212 -27.011105 0.1 -0.2 0.4
N 0.490502 18.895435 -27.825516 0.1 0.8 -0.8
C 1.639904 19.776102 -27.748997 0.6 -1.5 1.5
C -0.500958 19.316346 -28.791324 -0.7 0.3 -0.3
H 0.944446 17.916932 -26.094229 0.1 -0.3 0.0
H 2.316670 19.661271 -28.594013 -0.4 0.5 -0.5
H 2.253929 19.384364 -26.925907 -0.1 0.3 0.1
H 1.362239 20.792669 -27.480869 0.0 0.2 -0.5
H -1.308720 18.600619 -28.911751 0.2 -0.2 0.2
H -0.951138 20.260048 -28.460578 0.0 0.0 0.0
H -0.092919 19.513589 -29.783587 0.4 -0.2 0.1
C 0.793373 21.580095 -24.585345 -0.2 -0.2 -1.2
O -0.165637 21.080075 -24.014299 -0.1 0.1 0.6
N 0.822133 22.831284 -25.098663 -0.1 -1.4 0.7
C 1.977835 23.320841 -25.819607 -0.4 0.4 -1.1
C -0.332261 23.699318 -24.931198 0.7 0.9 -0.5
H 1.666499 20.973447 -24.871538 0.1 0.2 0.3
H 2.231060 24.303925 -25.424642 0.4 0.0 -0.1
H 1.740184 23.411104 -26.887449 -0.3 0.5 0.1
H 2.831421 22.647872 -25.887560 -0.1 -0.2 0.9
H -0.434393 24.281410 -25.849337 -0.1 0.0 0.0
H -1.270175 23.190300 -24.746834 0.2 -0.4 0.1
H -0.102974 24.414246 -24.133586 -0.3 0.0 0.1
>>>

Wanted =
It remains to duplicate every line above that contains the word "the".

Written answer =
The following is a DFT calculation (the ωB97M-V functional and the def2-TZVPD basis) of C21H49AlFeN7O11P as an isolated structure in a non-equilibrium geometry.